Wanted >
Next, search the block below for the word "structure" and retype each line that has it.

Contents >
~~~
Entry 1:
Structure and theoretical powder diffractogram of Mg4Si7 (a PBE-relaxed structure; Cu Kα (λ = 1.5418 Å)).
Neutral-atom scattering factors, no anomalous dispersion.

Top 10 peaks for 2θ = 10–80°, sorted by position:
| d [Å] | intensity | h k l |
| --- | --- | --- |
| 2.660 | 40 | -1 2 1 |
| 2.637 | 38 | 1 2 0 |
| 2.526 | 46 | 0 2 -4 |
| 2.469 | 27 | 1 -2 2 |
| 2.317 | 36 | -1 1 5 |
| 2.312 | 31 | 1 1 4 |
| 2.240 | 29 | 0 3 1 |
| 2.176 | 51 | 1 0 -6 |
| 2.126 | 100 | 2 0 -1 |
| 2.108 | 32 | 0 3 -3 |

Atomic structure:
Unit cell a=4.253 b=6.887 c=14.112 alpha=93.49 beta=98.50 gamma=90.58
Space group P1 (No. 1)
Unique sites:
Mg 0.000 0.000 0.000 (multiplicity 1)
Mg 0.033 0.539 0.076 (multiplicity 1)
Mg 0.175 0.070 0.373 (multiplicity 1)
Mg 0.242 0.579 0.503 (multiplicity 1)
Mg 0.304 0.079 0.595 (multiplicity 1)
Mg 0.370 0.472 0.751 (multiplicity 1)
Mg 0.418 0.977 0.821 (multiplicity 1)
Mg 0.837 0.774 0.673 (multiplicity 1)
Si 0.098 0.248 0.205 (multiplicity 1)
Si 0.102 0.844 0.212 (multiplicity 1)
Si 0.142 0.553 0.298 (multiplicity 1)
Si 0.478 0.327 0.965 (multiplicity 1)
Si 0.479 0.690 0.961 (multiplicity 1)
Si 0.557 0.200 0.122 (multiplicity 1)
Si 0.559 0.846 0.124 (multiplicity 1)
Si 0.657 0.736 0.325 (multiplicity 1)
Si 0.718 0.235 0.460 (multiplicity 1)
Si 0.747 0.882 0.489 (multiplicity 1)
Si 0.789 0.397 0.613 (multiplicity 1)
Si 0.878 0.158 0.729 (multiplicity 1)
Si 0.932 0.685 0.864 (multiplicity 1)
Si 0.938 0.330 0.883 (multiplicity 1)

Entry 2:
Structure and theoretical powder diffractogram of Mg4Si3 (a PBE-relaxed structure; Cu Kα (λ = 1.5418 Å)).
Neutral-atom scattering factors, no anomalous dispersion.

Top 10 peaks for 2θ = 10–80°, sorted by position:
| d [Å] | intensity | h k l |
| --- | --- | --- |
| 3.082 | 55 | 1 0 -1 |
| 3.043 | 58 | 1 -1 0 |
| 2.647 | 100 | 1 1 2 |
| 2.595 | 46 | 0 1 -2 |
| 2.478 | 90 | 1 2 0 |
| 2.189 | 75 | 1 0 -2 |
| 2.150 | 69 | 2 0 1 |
| 2.099 | 41 | 1 2 2 |
| 2.080 | 44 | 2 1 0 |
| 2.048 | 48 | 1 -2 1 |

Atomic structure:
Unit cell a=4.405 b=5.491 c=6.229 alpha=85.67 beta=74.72 gamma=78.73
Space group P-1 (No. 2)
Unique sites:
Mg 0.093 0.232 0.375 (multiplicity 2)
Mg 0.265 0.171 0.847 (multiplicity 2)
Si 0.359 0.662 0.903 (multiplicity 2)
Si 0.500 0.500 0.500 (multiplicity 1)

Entry 3:
Structure and theoretical powder diffractogram of Mg3Si4 (a PBE-relaxed structure; Cu Kα (λ = 1.5418 Å)).
Neutral-atom scattering factors, no anomalous dispersion.

Top 10 peaks for 2θ = 10–80°, sorted by position:
| d [Å] | intensity | h k l |
| --- | --- | --- |
| 2.715 | 13 | 2 0 0 |
| 2.549 | 100 | -1 1 2 |
| 2.533 | 43 | 1 2 -2 |
| 2.402 | 37 | 1 2 0 |
| 2.389 | 20 | 2 -2 1 |
| 2.315 | 39 | 1 -3 1 |
| 2.309 | 24 | 0 2 -3 |
| 2.255 | 19 | 2 1 -2 |
| 2.240 | 13 | 0 3 -2 |
| 1.933 | 15 | 2 1 1 |

Atomic structure:
Unit cell a=5.729 b=7.072 c=7.272 alpha=113.11 beta=96.67 gamma=103.14
Space group P1 (No. 1)
Unique sites:
Mg 0.000 0.000 0.000 (multiplicity 1)
Mg 0.015 0.416 0.324 (multiplicity 1)
Mg 0.295 0.842 0.310 (multiplicity 1)
Mg 0.386 0.688 0.846 (multiplicity 1)
Mg 0.477 0.144 0.788 (multiplicity 1)
Mg 0.909 0.099 0.509 (multiplicity 1)
Si 0.043 0.783 0.613 (multiplicity 1)
Si 0.105 0.392 0.954 (multiplicity 1)
Si 0.377 0.280 0.473 (multiplicity 1)
Si 0.505 0.481 0.200 (multiplicity 1)
Si 0.557 0.129 0.178 (multiplicity 1)
Si 0.619 0.762 0.562 (multiplicity 1)
Si 0.796 0.490 0.695 (multiplicity 1)
Si 0.836 0.633 0.063 (multiplicity 1)

Entry 4:
Structure and theoretical powder diffractogram of Mg5Si6 (a PBE-relaxed structure; Cu Kα (λ = 1.5418 Å)).
Neutral-atom scattering factors, no anomalous dispersion.

Top 10 peaks for 2θ = 10–80°, sorted by position:
| d [Å] | intensity | h k l |
| --- | --- | --- |
| 2.636 | 15 | 3 1 1 |
| 2.416 | 100 | 5 1 -1 |
| 2.399 | 20 | 5 1 0 |
| 2.389 | 97 | 1 1 2 |
| 2.173 | 21 | 6 0 1 |
| 2.161 | 14 | 0 0 3 |
| 2.129 | 34 | 4 0 -3 |
| 1.958 | 40 | 0 2 0 |
| 1.896 | 18 | 8 0 0 |
| 1.441 | 19 | 4 2 -3 |

Atomic structure:
~~~

Here it is >
Structure and theoretical powder diffractogram of Mg4Si7 (a PBE-relaxed structure; Cu Kα (λ = 1.5418 Å)).
Atomic structure:
Structure and theoretical powder diffractogram of Mg4Si3 (a PBE-relaxed structure; Cu Kα (λ = 1.5418 Å)).
Atomic structure:
Structure and theoretical powder diffractogram of Mg3Si4 (a PBE-relaxed structure; Cu Kα (λ = 1.5418 Å)).
Atomic structure:
Structure and theoretical powder diffractogram of Mg5Si6 (a PBE-relaxed structure; Cu Kα (λ = 1.5418 Å)).
Atomic structure: